Joanne never imagined she’d need a financial planner.

Her long term employer had a Registered Pension Plan (RPP), and she’d always been reassured that it would provide her with a steady income once she was ready to stop working.

But with her retirement approaching fast, Joanne wasn’t as confident as she once was in her RPP. The economy had taken a turn for the worse, and her employer was struggling. There was even talk around the office that the RPP was underfunded.

• Crystal structures that have nothing to do with the text:
+++
1.
A plane-wave DFT calculation with PBE was carried out for a relaxed structure of Pr2Zn3InAu4.

Cell and atoms, written as extended XYZ:
```
10
Lattice="-1.179 4.049 0.745 -4.083 -1.249 0.327 1.448 -1.706 11.565" Properties=species:S:1:pos:R:3 pbc="T T T"
In -1.907 0.547 6.318
Zn 0.724 -0.853 5.782
Zn -1.852 -0.848 1.677
Zn 0.669 0.542 10.423
Au -1.539 -1.217 4.178
Au 0.000 0.000 0.000
Au 0.355 0.911 7.922
Au -2.631 1.400 0.536
Pr -0.939 -1.925 8.975
Pr -0.245 1.618 3.125
```

Calculated values
* size of the total moment: 0.0 μB per formula unit
* volume: 216 Å³/cell
* calculated formation energy: -0.525 eV per atom
* space group: No. 115

=====

2.
A plane-wave DFT calculation with PBE was carried out for a relaxed structure of Pr2Zn4InAu3.

Cell and atoms, written as extended XYZ:
```
10
Lattice="-1.734 -3.684 1.339 3.871 -1.382 1.213 -1.647 4.587 10.486" Properties=species:S:1:pos:R:3 pbc="T T T"
Zn 1.349 0.942 4.339
Zn -1.928 1.112 7.423
Zn 1.069 -2.533 1.276
Zn 0.000 0.000 0.000
Au -0.824 2.293 5.243
Au -2.290 2.121 9.728
Au 1.711 -0.066 2.034
In 0.245 -0.239 6.519
Pr 0.690 2.778 8.536
Pr -1.269 -0.723 3.226
```

Calculated values
* size of the total moment: 0.0 μB per formula unit
* volume: 212 Å³/cell
* calculated formation energy: -0.495 eV per atom
* space group: No. 115

=====

3.
A plane-wave DFT calculation with PBE was carried out for a relaxed structure of Pr2ZnInAu6.

Cell and atoms, written as extended XYZ:
```
10
Lattice="5.541 -0.195 0.046 -0.364 9.469 0.310 2.688 4.571 4.551" Properties=species:S:1:pos:R:3 pbc="T T T"
Au 4.005 6.968 0.976
Au 2.580 3.036 2.450
Au 5.286 10.809 2.458
Au 3.861 6.877 3.932
Au 1.244 7.208 0.417
Au 6.622 6.637 4.491
Pr 2.431 9.296 2.477
Pr 5.435 4.550 2.431
Zn 0.000 0.000 0.000
In 2.589 4.637 0.178
```

Calculated values
* size of the total moment: 0.0 μB per formula unit
* volume: 229 Å³/cell
* calculated formation energy: -0.446 eV per atom
* space group: No. 2

* * * * *

DFT (PBE) results for a relaxed structure of InHgPb2.

a = 11.738 Å, b = 11.738 Å, c = 11.738 Å
α = 16.68°, β = 16.68°, γ = 16.68°
Fractional positions:
In  0.000  0.000  0.000
Hg  0.260  0.260  0.260
Pb  0.512  0.512  0.512
Pb  0.752  0.752  0.752

- Total moment: 0.00 μB/atom
- E_form: 0.02 eV per formula unit
- Raw total energy: -0.192 Ry/atom
- ΔE to the lowest computed polymorph: 0.000 eV/atom
- Calculated density: 10.432 g cm⁻³

* * * * *
+++
• Here the text continues:

Joanne was depending on her RPP to be her primary source of income in retirement. Without it, her savings wouldn’t be enough to fill the gap.

Feeling vulnerable, Joanne decided to consult with us about options to protect her retirement income.

We reviewed Joanne’s plan and determined that her RPP didn’t offer many benefits beyond a monthly income. We also confirmed that she could withdraw her entire entitlement without penalty or timing restrictions. There was no real reason for her to stay in the plan.

Once we knew there was nothing holding her back from going a different route, we presented her with some alternative strategies for her retirement income.

A common choice when transferring funds out of an RPP is to move them into a Locked In Retirement Account (LIRA) or a Locked In Income Fund (LIF). Both allow the RPP member to defer taxes on the eligible portion of their pension entitlement, which is calculated by the pension plan administrator using a present value factor based on the member’s age at the time of the transfer.

(Unrelated to this entry: materials data)
/*
[1]
Below is Hf2UTi after structural relaxation, with properties calculated at the PBE level.

Cell lengths 4.8835, 4.8835, 4.8845 Å; angles 60.01, 60.01, 60.00 degrees
Last column: nearest neighbours and their distance in Å.
Element x y z (fractional)
U 0.0000 0.0000 0.0000  8 Hf 2.99
Ti 0.5000 0.5000 0.5000  8 Hf 2.99
Hf 0.7499 0.7499 0.7504  4 Ti 2.99, 4 U 2.99
Hf 0.2501 0.2501 0.2496  4 Ti 2.99, 4 U 2.99

Computed properties:
As for the total moment: 0.0 μB/cell. As for the energy above the most stable polymorph in this dataset: 0.000 eV per atom. The crystal system is cubic. The value obtained for the total energy is -9.516 eV per atom. The value obtained for the mass density is 12.959 Mg/m³.

=====

[2]
Below is Hf2UTi after structural relaxation, with properties calculated at the PBE level.

Cell lengths 3.5061, 3.5061, 6.7765 Å; angles 90.00, 90.00, 90.00 degrees
Last column: nearest neighbours and their distance in Å.
Element x y z (fractional)
*/

A LIRA or LIF would give Joanne more control over her investments, allowing her to work with her own advisor to implement a personalized investment strategy.

But any withdrawals in excess of the eligible amount would be fully taxable immediately. Although this amount will vary depending on the individual and the plan, a generous RPP could result in a significant tax bill.

And for Joanne, security was paramount. As a retiree, she didn’t want to worry about market fluctuations or making investment decisions. She just wanted a predictable income so she could enjoy life to the fullest.

To give Joanne the peace of mind she was looking for, we suggested a copycat annuity - a life annuity product that would mimic her pension benefits.

A copycat annuity would let Joanne transfer her pension entitlement on a tax-deferred basis, as long as it met the following conditions:

  • It is issued by licensed annuity provider;
  • The rights under the annuity are not ‘materially different’ from those provided under the RPP;
  • It does not require premiums to be paid after issue; and,
  • The transfer is made directly from the RPP to the annuity.

In addition to providing the same income benefits, there are several common elements of an RPP that a copycat annuity needs to match. These include:

  • Guarantee period
  • Reduction of income to spouse
  • Indexing

In Joanne’s case, we were able to offer an annuity that copied all the benefits and rights of her RPP, giving her the same monthly income at a single premium that was lower than her pension’s commuted value (the lump sum of future pension income).

As an added benefit, the difference between the annuity premium and the commuted value of her pension went right into her pocket. Although it was taxable, she still ended up with an extra cushion for her savings.

Above all, Joanne wanted security in retirement. By using her pension to purchase a copycat annuity, she could guarantee her income and retire with peace of mind.

Retirement is an exciting stage of life, but it’s important to make sure your income will be there when you need it. Our retirement strategy sessions give you a detailed roadmap for how to maximize your income in alignment with your values and vision for retirement.

If you’re approaching retirement and want to understand all the available options for your situation, book a call with us today.